I know that it seems way too early to hear from your District Secretary, but by action of the previous District Assembly our fiscal year comes to a close on January 31, 2017. Our District Assembly will be held April 23-24, 2017, at Palm City New Hope Fellowship Church of the Nazarene, Palm City, Florida.
1. …that your church year end reports are reported in a timely fashion (by February 10th);
2. …that the ordained ministers (both elders and deacons) who are members of your church file a written report to the district assembly (please pass on the form Report of Ordained/Licensed Minister)
3. …that any applicants requesting a first time local/district ministers license complete the Request for Verification of Credential History.
4. …that any applicants for a first time District License or renewal of a District License, complete and submit the District Ministers’ License Application.
5. …that any applicants for ordination or recognition of orders, submit an Ordination/Recognition Questionnaire. Applicants for ordination must complete BOTH an Application for Renewal of District License, and an Ordination Questionnaire.
6. …that your local church board approves, and therefore recommends to the district (if the board indeed approves of them), any first time district license applicants, renewal of a license applicants, and ordination applicants, by using the Recommendation to the District Assembly form.
7. That you make your first-time applicants, renewal of license applicants, and ordination applications, aware of the Pastor Prep Days and stress the importance of their attending. Failure to attend may result in not granting or renewing of a license.
8. I would also remind you that as lead pastor you should set the tone for 100% participation in your district financial responsibilities. You have a little over a month to encourage your people to rise to the occasion of being part of the district team. Don’t wait until the last moment. Believe that you can give a report on behalf of your church that says “we have been faithful to God, and he has been faithful to us.”
To help you in your reporting, your completion of your “District Assembly Responsibility List,” I have attached the following forms and materials:
1. Annual Pastors Report (Worksheet ONLY – the APR MUST be completed online)
2. APR Instructions (Pastors, please note that on the APR, Evangelism Section, Line 16 you should put a “0”. The Southern Florida District does NOT have provision for Fellowship Members.)
3. Annual Report of Ordained Minister or Licensed Minister (not to be completed by lead pastors)
4. Church Certificate of Election of Assembly Delegates
5. Deceased Church Members List (Memoirs)
6. Church Directory Form
7. Request for Verification of Credential History.
8. District Ministers License Application (To be completed by licensed ministers seeking renewal, ordination, or those seeking a first-time license– not to be completed by ordained ministers). This application should be accompanied by the “Recommendation to the District Assembly” form when submitted to the District Secretary. So your church board action should be on your agenda for January 2017).
9. Ordination/Recognition Questionnaire (do not complete if you do not meet the qualifications outlined in the manual para. 532.3)
10. Recommendation to the District Assembly. Please be certain that all of your district-licensed persons receive the Recommendation to the District Assembly form in a timely manner. They will need to have all their forms to me no later than February 10. We will not interview an applicate if we do not have the local churches recommendation.
11. Manual Requirements for licensing and ordination
12. Form 2 (for divorced persons applying for a new district license)
13. Sample Church Page, for statistics and a brief pastor’s description of highlights
14. District Assembly Flyer
15. Pastors Prep Days and Board of Ministry Interview Flyer
16. Hotel and Restaurant Lists for District Assembly, provided by the host church
Information for District Assembly:
Helping Pastors With Their Annual Church Meeting
Pastors Countdown to District Assembly 2017
District Assembly Memo #1
DA Flyer 2017
Hotels 2017
Files for District Assembly:
Rem Divorce – FORM 2 2016-2017 (Word)
Rem Divorce – FORM 2 2016-2017 (PDF)
Annual’s Report Worksheet 2014 (PDF)
AnnualReportOfOrdainedMinisterOrLicensedMinisterEnglish (Word)
AnnualReportOfOrdainedMinisterOrLicensedMinisterEnglish (PDF)
ApplicationForDistrictMinistersLicenseEnglish (Word)
ApplicationForDistrictMinistersLicenseEnglish (PDF)
APR instructions 2016 (Word)
-- Data records that have nothing to do with the text --
____________
C3H11N2 | ωB97M-V/def2-TZVPD

**Kohn-Sham gap (alpha / beta)**: 9.2482 / 9.2488 eV
**Energy relative to the best compared isomer or geometry (same formula, charge and spin)**: 55.0 kcal/mol
**Calculated total energy**: -230.094697 a.u.
**LUMO energy (alpha / beta)**: -0.1715 / -0.1715 hartree

```
! RIJCOSX wB97M-V def2-TZVPD def2/J DEFGRID3
* xyz 1 1
C -0.64301 1.07057 -1.48312
C 1.70162 -0.61665 1.08925
C -0.69420 -0.34905 1.18570
N -1.00722 -0.33526 -1.35325
N 0.52756 0.07454 1.33565
H -0.55940 1.47065 -0.44084
H 0.34173 1.03376 -1.88037
H -1.21029 1.59250 -2.23904
H 2.31351 -0.74313 1.96541
H 1.34047 -1.61940 0.84987
H 2.35481 -0.19326 0.45095
H -0.95131 -1.34812 0.65500
H -1.49844 0.34005 1.55580
H -1.97652 -0.46862 -1.26890
H -0.72618 -0.89074 -2.09271
H 0.68686 0.98213 1.67062
*
```

Charges computed using Mulliken, reported in e: -0.71, -0.80, -0.33, -0.47, 0.02, 0.18, 0.32, 0.35, 0.37, 0.26, 0.35, 0.32, 0.39, 0.27, 0.21, 0.29
____________
APR instructions 2016 (PDF)
Church Certificate of Election (PDF)
Church Certificate of Election (Word)
Church Directory (PDF)
Church Directory (Word)
Deceased Church Members (PDF)
Deceased Church Members (Word)
Manual Requirements 2013-2017 (Word)
Manual Requirements 2013-2017 (PDF)
OrdinationRecognitionQuestionnaireEnglish (Word)
OrdinationRecognitionQuestionnaireEnglish (PDF)
Recommendation to the District Assembly (PDF)
Recommendation to the District Assembly (Word)
VerificationCredentialHistoryRequestForm (PDF)
For questions please, contact Marsha Taylor at the district office at 863-531-0181 or Email Marsha Taylor For questions about credentials and the Board of Ministry interviews, contact Jim Spear Email Jim Spear. For questions about apportionments contact Vanessa Sackett at 863-531-0181 or Email Vanessa Sackett
Jim Spear,
District Secretary
Southern Florida District Church of the Nazarene
PO Box 924311
Homestead, FL 33092